~~~
Record 1
This record from Alexandria describes an optimized crystal structure of FeSi2Ru. The functional is PBE.

a = 7.757 Å, b = 7.757 Å, c = 7.757 Å
α = 21.00°, β = 21.00°, γ = 21.00°
Positions (direct):
Fe (0.000, 0.000, 0.000)
Si (0.259, 0.259, 0.259)
Si (0.503, 0.503, 0.503)
Ru (0.758, 0.758, 0.758)

## Properties
- formation energy (no corrections) (meV per atom) = -24
- DOS(E_F) (states/eV per cell) = 2.62
- E (eV for the cell shown) = -28.7
- spin magnetization (Bohr magnetons per cell) = 1.8

=====

Record 2
This record from Alexandria describes an optimized crystal structure of TbErGeRh. The functional is PBE.

a = 4.940 Å, b = 4.940 Å, c = 4.940 Å
α = 60.00°, β = 60.00°, γ = 60.00°
Positions (direct):
Tb (0.000, 0.000, 0.000)
Er (0.500, 0.500, 0.500)
Ge (0.750, 0.750, 0.750)
Rh (0.250, 0.250, 0.250)

## Properties
- relative energy among the computed polymorphs (eV per atom) = 0.1309
- DOS(E_F) (states/eV per cell) = 2.08
- E (eV for the cell shown) = -24.1
- spin magnetization (Bohr magnetons per cell) = 0.0

=====

Record 3
This record from Alexandria describes an optimized crystal structure of Ac2SmGd. The functional is PBE.

a = 6.033 Å, b = 6.033 Å, c = 6.033 Å
α = 60.00°, β = 60.00°, γ = 60.00°
Positions (direct):
Ac (0.250, 0.250, 0.250)
Ac (0.750, 0.750, 0.750)
Sm (0.000, 0.000, 0.000)
Gd (0.500, 0.500, 0.500)

## Properties
- relative energy among the computed polymorphs (eV per atom) = 0.0666
- DOS(E_F) (states/eV per cell) = 8.72
- E (eV for the cell shown) = -26.6
- spin magnetization (Bohr magnetons per cell) = 7.8

=====

Record 4
This record from Alexandria describes an optimized crystal structure of YCu2. The functional is PBE.

a = 6.282 Å, b = 6.282 Å, c = 6.282 Å
α = 145.05°, β = 127.57°, γ = 64.58°
Positions (direct):
Y (0.175, 0.175, 0.000)
Y (0.825, 0.825, 0.000)
Cu (0.268, 0.500, 0.768)
Cu (0.387, 0.887, 0.500)
Cu (0.613, 0.113, 0.500)
Cu (0.732, 0.500, 0.232)

## Properties
- DOS(E_F) (states/eV per cell) = 2.81
- E (eV for the cell shown) = -30.4
- spin magnetization (Bohr magnetons per cell) = 0.0

=====

Record 5
This record from Alexandria describes an optimized crystal structure of CsTl2HgAu2. The functional is PBE.

a = 4.668 Å, b = 10.275 Å, c = 8.070 Å
α = 90.00°, β = 90.00°, γ = 90.00°
Positions (direct):
Cs (0.000, 0.054, 0.000)
Cs (0.000, 0.946, 0.500)
Tl (0.000, 0.357, 0.408)
Tl (0.000, 0.643, 0.908)
Tl (0.500, 0.410, 0.043)
Tl (0.500, 0.590, 0.543)
Hg (0.500, 0.221, 0.674)
Hg (0.500, 0.779, 0.174)
Au (0.000, 0.377, 0.786)
Au (0.000, 0.623, 0.286)
Au (0.500, 0.202, 0.303)
Au (0.500, 0.798, 0.803)

## Properties
- DOS(E_F) (states/eV per cell) = 5.76
- E (eV for the cell shown) = -26.4
- spin magnetization (Bohr magnetons per cell) = 0.0

=====

Record 6
This record from Alexandria describes an optimized crystal structure of PuInH. The functional is PBE.

a = 6.287 Å, b = 6.287 Å, c = 6.287 Å
α = 151.22°, β = 151.22°, γ = 41.15°
Positions (direct):
Pu (0.000, 0.000, 0.000)
In (0.277, 0.277, 0.000)
H (0.543, 0.543, 0.000)

## Properties
- relative energy among the computed polymorphs (eV per atom) = 0.0311
- DOS(E_F) (states/eV per cell) = 5.40
- E (eV for the cell shown) = -20.6
- spin magnetization (Bohr magnetons per cell) = 5.7

=====

Record 7
This record from Alexandria describes an optimized crystal structure of Li5MgRh2. The functional is PBE.

a = 4.484 Å, b = 11.446 Å, c = 4.664 Å
α = 90.00°, β = 90.02°, γ = 90.00°
Positions (direct):
Li (0.249, 0.104, 0.153)
Li (0.249, 0.250, 0.732)
Li (0.249, 0.396, 0.153)
Li (0.250, 0.004, 0.672)
Li (0.250, 0.496, 0.672)
Li (0.750, 0.504, 0.328)
Li (0.750, 0.996, 0.328)
Li (0.751, 0.604, 0.847)
Li (0.751, 0.750, 0.268)
Li (0.751, 0.896, 0.847)
Mg (0.251, 0.750, 0.662)
Mg (0.749, 0.250, 0.338)
Rh (0.251, 0.632, 0.161)
Rh (0.251, 0.868, 0.161)
Rh (0.749, 0.132, 0.839)
Rh (0.749, 0.368, 0.839)

## Properties
- relative energy among the computed polymorphs (eV per atom) = 0.0000
- DOS(E_F) (states/eV per cell) = 5.69
~~~
Next, filter the entries above: keep the lines with the word "Si".
Si (0.259, 0.259, 0.259)
Si (0.503, 0.503, 0.503)